Listing >
<<<
{
  "formula": "C45H54O17",
  "method": "ωB97M-V/def2-TZVPD",
  "elements": ["O", "O", "O", "O", "O", "O", "O", "O", "O", "O", "O", "O", "O", "O", "O", "O", "O", "C", "C", "C", "C", "C", "C", "C", "C", "C", "C", "C", "C", "C", "C", "C", "C", "C", "C", "C", "C", "C", "C", "C", "C", "C", "C", "C", "C", "C", "C", "C", "C", "C", "C", "C", "C", "C", "C", "C", "C", "C", "C", "C", "C", "C", "H", "H", "H", "H", "H", "H", "H", "H", "H", "H", "H", "H", "H", "H", "H", "H", "H", "H", "H", "H", "H", "H", "H", "H", "H", "H", "H", "H", "H", "H", "H", "H", "H", "H", "H", "H", "H", "H", "H", "H", "H", "H", "H", "H", "H", "H", "H", "H", "H", "H", "H", "H", "H", "H"],
>>>

Request >
Next, return the listing earlier on without additions.

Here it is >
{
  "formula": "C45H54O17",
  "method": "ωB97M-V/def2-TZVPD",
  "elements": ["O", "O", "O", "O", "O", "O", "O", "O", "O", "O", "O", "O", "O", "O", "O", "O", "O", "C", "C", "C", "C", "C", "C", "C", "C", "C", "C", "C", "C", "C", "C", "C", "C", "C", "C", "C", "C", "C", "C", "C", "C", "C", "C", "C", "C", "C", "C", "C", "C", "C", "C", "C", "C", "C", "C", "C", "C", "C", "C", "C", "C", "C", "H", "H", "H", "H", "H", "H", "H", "H", "H", "H", "H", "H", "H", "H", "H", "H", "H", "H", "H", "H", "H", "H", "H", "H", "H", "H", "H", "H", "H", "H", "H", "H", "H", "H", "H", "H", "H", "H", "H", "H", "H", "H", "H", "H", "H", "H", "H", "H", "H", "H", "H", "H", "H", "H"],